Page 38 of The Moment of Truth
Leaning forward, she kissed him softly. Letting him know that he wasn’t alone.
# C5H11NS

One molecule with the formula C5H11NS in a non-equilibrium geometry (wB97M-V/def2-TZVPD, the OMol25 dataset).

Last columns: bonded neighbours and bond lengths (Å).
Element x y z (Å)
1 C -2.10875 0.05090 -0.73998  N2 1.389, H8 1.078, H9 1.104, H10 1.124
2 N -1.29837 0.05076 0.38825  C1 1.389, C3 1.466, C7 1.440
3 C -0.50726 1.25326 0.66720  N2 1.466, C4 1.527, H11 1.157, H12 1.078
4 C 0.69608 1.34685 -0.26790  C3 1.527, S5 1.820, H13 1.103, H14 1.103
5 S 1.81302 -0.08148 -0.11517  C4 1.820, C6 1.818
6 C 0.51551 -1.34831 -0.24462  S5 1.818, C7 1.508, H15 1.083, H16 1.079
7 C -0.66516 -1.20888 0.68278  N2 1.440, C6 1.508, H17 1.087, H18 1.069
8 H -2.82560 -0.75397 -0.74020  C1 1.078
9 H -1.58331 -0.03364 -1.70702  C1 1.104
10 H -2.76481 0.96254 -0.76741  C1 1.124
11 H -0.16308 1.24321 1.77215  C3 1.157
12 H -1.12165 2.13394 0.57158  C3 1.078
13 H 1.27074 2.26356 -0.05457  C4 1.103
14 H 0.31722 1.49911 -1.29206  C4 1.103
15 H 0.07784 -1.35126 -1.23494  C6 1.083
16 H 1.04909 -2.27641 -0.10965  C6 1.079
17 H -1.42110 -1.94239 0.41341  C7 1.087
18 H -0.33750 -1.35925 1.68877  C7 1.069

Output
M   117.22 g mol⁻¹
E_LUMO   0.965 eV
Net charge   0
SMILES   CN1CCSCC1

Atomic partial charges in e from the Löwdin method, atoms 1 to 2: atom 1 (C): -0.142, atom 2 (N): -0.267


No. 1
Formula: C18H38BaN6O3SSi4
Source: the Open Molecules 2025 dataset
Level of theory: ωB97M-V/def2-TZVPD

DFT total energy: -2844.7722 Eh
E_LUMO: -0.4 eV
orbital gap: 6.23 eV
energy relative to the best compared isomer or geometry (same formula, charge and spin): 9.2 kJ/mol

ORCA input file:
```
! RIJCOSX wB97M-V def2-TZVPD def2/J DEFGRID3
* xyz 0 1
Ba -0.91 1.85 0.65
S -0.79 2.90 -2.16
Si -0.86 -2.16 3.82
Si -1.08 1.38 4.71
Si 2.20 -0.08 3.96
Si 0.00 -0.07 3.23
O 0.36 1.98 -1.78
O -0.05 4.52 0.94
O -0.61 3.53 -3.48
N 3.69 2.00 0.72
N -2.24 4.39 0.73
N 2.49 4.57 -2.87
N 3.20 3.34 -1.07
N 1.76 3.24 0.83
N 1.31 4.78 -0.92
C 3.29 -0.97 2.70
C -0.84 3.18 4.15
C -1.17 5.07 0.36
C 2.81 1.69 4.19
C -3.56 5.85 -0.61
C -2.96 1.10 4.68
C 1.09 4.20 0.23
C 0.29 -3.53 3.21
C -2.41 6.56 -0.97
C 2.51 -0.95 5.61
C -2.54 -2.46 3.01
C -3.43 4.79 0.25
C -1.11 -2.41 5.68
C -0.54 1.32 6.51
C 2.88 2.89 0.14
C -2.12 1.63 -2.39
C 2.33 4.20 -1.59
C -1.18 6.17 -0.47
H 3.14 -0.61 1.68
H -2.69 1.51 -1.46
H -4.53 6.13 -0.99
H -1.46 -3.42 5.90
H -3.32 0.84 3.68
H -0.66 0.31 6.91
H 1.26 -3.49 3.71
H 3.45 1.61 1.62
H -0.18 -2.24 6.23
H -4.30 4.23 0.57
H -3.27 -1.72 3.32
H -0.27 6.68 -0.73
H 0.22 3.43 4.00
H -1.85 -1.70 6.06
H -3.49 1.99 5.01
H 3.10 4.00 -3.42
H -2.48 7.40 -1.65
H -2.93 -3.45 3.27
H -1.36 3.42 3.21
H 3.57 -0.88 5.89
H 0.47 -3.43 2.14
H 3.04 -2.03 2.69
H -1.67 0.69 -2.70
H 2.50 2.37 3.39
H -3.24 0.28 5.34
H 2.38 2.09 5.12
H 3.90 1.75 4.29
H -2.45 -2.42 1.92
H -1.12 2.01 7.13
H 2.25 -2.00 5.57
H 0.52 1.59 6.62
H -1.24 3.86 4.90
H -0.14 -4.52 3.39
H 1.92 -0.49 6.41
H 4.36 -0.89 2.94
H 4.47 1.65 0.20
H -2.82 1.98 -3.15
H 1.64 4.89 -3.33
*
```

***

No. 2
Formula: C4H6AgF6N3O6S2
He’d said he wanted her.
And God knew, she wanted him.
* * *
JOSH KNEW HOW to please a woman. The shy ones and the bold ones. The experienced and the inexperienced. He could adjust his pace, his appetite, to fit. And he always enjoyed himself, even if he didn’t finish.
He liked women and he liked sex.
Kissing Dana wasn’t about sex. It was about needing to be as close to her as possible.
He was turned on, but that experience wasn’t new to him. What was completely unfamiliar was that his libido wasn’t the driving force this time.
He had no intention of having sex with Dana Harris. Or any woman who’d want commitment.
Holding her against him felt right. The first completely right thing he’d felt since the morning he’d been woken abruptly to be told that Michelle had been found comatose in her apartment.
He’d been the last person to see her conscious.
It was as though Dana was some kind of healing spirit and only by being in her presence, by touching her, could he find absolution. Peace.
Shifting, he lay back and pulled her down beside him, meeting her gaze, and when he read the willingness in her eyes, he kissed her again.
The fact that they didn’t speak didn’t seem the least bit odd to him. There were no words to express what they were giving to each other.
For now, there was only feeling. Giving himself up to the new person he was becoming.
And being aware of the woman in his arms like he’d never been aware of anyone, ever before.
* * *
SHE HAD TO STOP HIM. She never had sex without a condom. Josh’s arms had tightened around her. She was lying against him, resting all of her weight on his weight. And was so on fire she didn’t recognize herself.
It was fantasy come to life but reality was better.
He kissed her again. Oh, God, she was losing it. Her body pressed against his and she liked it and pressed harder. Moved her pelvis along his thigh, her jeans rubbing easily along the fabric of his dress pants.
Her breasts pressed against the solid muscles of his chest and she slid her hands along his shirt, seeking warmth. His warmth.
It was nothing. Just touching. Like kids necking on the couch. And she was consumed in a way she hadn’t been the night she’d lost her virginity. Or any other time she’d been touched by a man.
Josh wasn’t really even touching her. Not in that way. He was holding her. And kissing her. His hands hadn’t strayed from the small of her back.
She ached between her legs and she assuaged the agony with more movement. More pressure. His body rose to meet hers. And she moved a little more, turning sideways, rubbing her taut nipples against his shirt. Their hands were keeping a mutual safe distance from private parts.
She kissed him harder.
He kissed her back and their body movement increased in unison. Josh moved beneath her, pressing rock-hard maleness against her. Her breast brushed the flexed muscle on his arm and she almost cried out with a need to be touched there. To put some kind of finish to the sweet torture. In the midst of all the movement her sweater crept up and her stomach was exposed, her bare skin rubbing against the buckle on his pants.
Trying to pull her sweater down without breaking away from his kiss, she touched his stomach, still covered by his shirt.
Josh breathed in sharply and his kiss grew more dominant, more needy, and ignited a fire inside her that drove all thought away.
He rolled over, pinning her down on the couch with his body on top of hers, and then slid sideways. He undid her jeans, yanked them down over her hips, exposing her panties to the night air. To him.
She couldn’t stop herself from reaching for his belt buckle. It was there and she needed to yank on it worse than anything in the world. Nothing mattered but getting that belt loose and those pants down.
With one hand still beneath her back, he used the other to pull her panties past her knees. And then to shove his own down midhip, freeing his hardened penis. With one quick thrust he was inside of her, moving much as they’d been moving on each other for most of the past hour.
It was over almost as soon as it had begun. She exploded. He exploded. A home run and they’d never even made it to second base.
Dana laughed out loud. She floated somewhere in between fantasy and reality, on a cloud of sensation. Her bra was still fastened, her breasts completely covered. He still had on his tie. He’d never laid a hand on any intimate part of her. Nor did she on him.
They hadn’t protected themselves against sexual disease. Or pregnancy. Thank God it was her safe time, but...was Josh free of STDs?
“Shit.” His exclamation broke into her thoughts.
And Dana figured he’d just read her mind.